I was interested to see this report on Media Manipulation and Disinformation Online circulating through my networks last week, especially once I saw that one of the co-authors was Alice Marwick, whose work on political/emotional economy of social media I’ve found really valuable in the past. I got a chance to sit down and spend some time with it over the course of the last few days, and here are a few quick thoughts about the piece.
I think the report does a really great job of illustrating how the radical right has figured out ways to exploit the mainstream media’s reliance on “spectacle” in order to get their message across. In particular, Marwick and her co-author Rebecca Lewis document how media organizations have been placed in a sort of double-bind that makes them vulnerable to manipulation. On the one hand, they show that media organizations, and especially local media, have faced serious economic challenges because of internet, which has deprived them of subscription and classified ad revenue. These economic challenges have tended to “hollow out” newspapers, forcing them to reduce crucial reporting and fact-checking labor, often at the behest of corporate newspaper-chain owners that have gobbled up vulnerable local papers. At the same time, Marwick and Lewis write that news organizations have felt more and more pressured by a “constant need for novelty to fill up a 24/7/365 news cycle driven by cable networks and social media.” These pressures leave media organizations particularly vulnerable to trolling, while at the same driving sensationalist news coverage that “enables trolls to maintain a quasi-moral argument that, by trolling, they are exposing the hypocrisy, ignorance, and stupidity of the mainstream media.”
Next to the entry, the page also holds data records >
-- begin --
[1]
The following is a PBE calculation of crystalline CsNa8Tl4 at its relaxed geometry, from the Alexandria database.

## Properties
The energy of formation comes out at -85 meV per atom. The value obtained for the final energy is -0.0621 Ha/atom.

Structure (CIF):
```
data_CsNa8Tl4
_chemical_formula_sum 'Cs2 Na16 Tl8'
_symmetry_space_group_name_H-M 'I 4/m m m'
_symmetry_Int_Tables_number 139
_symmetry_space_group_name_Hall '-I 4 2'
_cell_length_a 11.572
_cell_length_b 11.572
_cell_length_c 6.694
_cell_angle_alpha 90.00
_cell_angle_beta 90.00
_cell_angle_gamma 90.00
loop_
_atom_site_label
_atom_site_type_symbol
_atom_site_fract_x
_atom_site_fract_y
_atom_site_fract_z
_atom_site_occupancy
Cs1 Cs 0.000 0.000 0.000 1
Na1 Na 0.000 0.229 0.500 1
Na2 Na 0.000 0.343 0.000 1
Tl1 Tl 0.250 0.250 0.250 1
```

---

[2]
The following is a PBE calculation of crystalline Cs2NaTl at its relaxed geometry, from the Alexandria database.

## Properties
The calculation puts the energy above the most stable polymorph in this dataset at 0.000 eV per atom. The energy of formation comes out at 14 meV per atom. The value obtained for the final energy is -0.0490 Ha/atom.

Structure (CIF):
```
data_Cs2NaTl
_chemical_formula_sum 'Cs4 Na2 Tl2'
_symmetry_space_group_name_H-M 'I m m 2'
_symmetry_Int_Tables_number 44
_cell_length_a 5.027
_cell_length_b 11.989
_cell_length_c 8.228
_cell_angle_alpha 90.00
_cell_angle_beta 90.00
_cell_angle_gamma 90.00
loop_
_symmetry_equiv_pos_as_xyz
'x,y,z'
'-x,-y,z'
'-x,y,z'
'x,-y,z'
'x+1/2,y+1/2,z+1/2'
'-x+1/2,-y+1/2,z+1/2'
'-x+1/2,y+1/2,z+1/2'
'x+1/2,-y+1/2,z+1/2'
loop_
_atom_site_label
_atom_site_type_symbol
_atom_site_fract_x
_atom_site_fract_y
_atom_site_fract_z
_atom_site_occupancy
Cs1 Cs 0.000 0.192 0.000 1
Na1 Na 0.000 0.000 0.516 1
Tl1 Tl 0.000 0.500 0.770 1
```

---

[3]
The following is a PBE calculation of crystalline Cs4Na3Tl2 at its relaxed geometry, from the Alexandria database.

## Properties
The energy of formation comes out at -39 meV per atom. The value obtained for the final energy is -0.0509 Ha/atom.

Structure (CIF):
```
data_Cs4Na3Tl2
_chemical_formula_sum 'Cs8 Na6 Tl4'
_symmetry_space_group_name_H-M 'C 1 2/m 1'
_symmetry_Int_Tables_number 12
_cell_length_a 20.388
_cell_length_b 5.470
_cell_length_c 9.987
_cell_angle_alpha 90.00
_cell_angle_beta 107.12
_cell_angle_gamma 90.00
loop_
_symmetry_equiv_pos_as_xyz
'x,y,z'
'-x,-y,-z'
'-x,y,-z'
'x,-y,z'
'x+1/2,y+1/2,z'
'-x+1/2,-y+1/2,-z'
'-x+1/2,y+1/2,-z'
'x+1/2,-y+1/2,z'
loop_
_atom_site_label
_atom_site_type_symbol
_atom_site_fract_x
_atom_site_fract_y
_atom_site_fract_z
_atom_site_occupancy
Cs1 Cs 0.085 0.000 0.374 1
Cs2 Cs 0.232 0.500 0.173 1
Na1 Na 0.000 0.500 0.000 1
Na2 Na 0.091 0.500 0.758 1
Tl1 Tl 0.082 0.000 0.957 1
```

---

[4]
The following is a PBE calculation of crystalline CsNa4Tl8 at its relaxed geometry, from the Alexandria database.

## Properties
The energy of formation comes out at -70 meV per atom. The value obtained for the final energy is -0.0734 Ha/atom.
-- stop --
I was also particularly interested in how the Marwick and Lewis document the online right’s strategic appropriation of feelings of weakness and exclusion to radicalize young men. Writing about the spasm of misogynist trolling that labelled itself “gamergate,” they explain that participants were often self-identified “geeks” and that this identity seems based on a feelings of powerlessness.
Although many male geeks are privileged in terms of race and gender, the geek identity has long had a reputation for suffering forms of social oppression.21 They may have been bullied by a “Chad” (internet slang for the stereotypical tanned, buff “bro”) or had a difficult time pursuing romantic relationships. They may be unemployed and uneducated. This is reflected in some of the terms they use to describe themselves—as “betas” (non-alpha, weak, compromised, fragile, or pathetic men) or “NEETs” (Not Engaged in Employment or Training, a term that originated in a report by the Social Exclusion Task Force of the UK government). Thus, they are very resistant to discussions of white privilege and male privilege as they do not see themselves as privileged, but as disadvantaged.
**Materials data, as found in the file:**
~~~
1.
Compound: AlCrC3
Source: Alexandria
Functional: PBE-GGA
Structure: relaxed

Cell lengths 3.820, 3.820, 3.820 Å; angles 90.00, 90.00, 90.00 degrees
Space group Pm-3m (No. 221)
Symmetry-distinct sites (fractional):
Al 0.000 0.000 0.000 [1 per cell]
Cr 0.500 0.500 0.500 [1 per cell]
C 0.000 0.000 0.500 [3 per cell]

Summary:
Size of the total moment, μB per formula unit: 0.24
DFT formation energy, eV/atom: 2.503
Energy above the lowest structure with this stoichiometry, eV per atom: 0.852



2.
Compound: LaAlN3
Source: Alexandria
Functional: PBE-GGA
Structure: relaxed

Cell lengths 3.867, 3.867, 3.867 Å; angles 90.00, 90.00, 90.00 degrees
Space group Pm-3m (No. 221)
Symmetry-distinct sites (fractional):
La 0.000 0.000 0.000 [1 per cell]
Al 0.500 0.500 0.500 [1 per cell]
N 0.000 0.500 0.500 [3 per cell]

Summary:
Formation energy from raw total energies, eV per atom: -0.444
Size of the total moment, μB per formula unit: 0.00



3.
Compound: La5Tb4Nd2
Source: Alexandria
Functional: PBE-GGA
Structure: relaxed

Cell lengths 18.097, 3.589, 11.851 Å; angles 90.00, 93.80, 90.00 degrees
Space group C2/m (No. 12)
Symmetry-distinct sites (fractional):
La 0.000 0.000 0.000 [2 per cell]
La 0.095 0.500 0.534 [4 per cell]
La 0.176 0.500 0.073 [4 per cell]
Tb 0.033 0.500 0.261 [4 per cell]
Tb 0.140 0.000 0.800 [4 per cell]
Nd 0.217 0.000 0.352 [4 per cell]

Summary:
Size of the total moment, μB per formula unit: 0.00
DFT formation energy, eV/atom: 0.070
Energy above the lowest structure with this stoichiometry, eV per atom: 0.000



4.
Compound: CsAg2BiPt
Source: Alexandria
Functional: PBE-GGA
Structure: relaxed

Cell lengths 5.725, 5.725, 5.273 Å; angles 90.00, 90.00, 90.00 degrees
Space group P4/mmm (No. 123)
Symmetry-distinct sites (fractional):
Cs 0.000 0.000 0.000 [1 per cell]
Ag 0.000 0.500 0.000 [2 per cell]
Bi 0.500 0.500 0.500 [1 per cell]
Pt 0.000 0.000 0.500 [1 per cell]

Summary:
Size of the total moment, μB per formula unit: 0.00
DFT formation energy, eV/atom: 1.442



5.
Compound: Pm3Ho2In2
Source: Alexandria
Functional: PBE-GGA
Structure: relaxed

Cell lengths 16.899, 3.509, 8.017 Å; angles 90.00, 117.71, 90.00 degrees
Space group C2/m (No. 12)
Symmetry-distinct sites (fractional):
Pm 0.000 0.000 0.000 [2 per cell]
Pm 0.210 0.000 0.132 [4 per cell]
Ho 0.130 0.000 0.470 [4 per cell]
In 0.067 0.500 0.733 [4 per cell]

Summary:
Size of the total moment, μB per formula unit: 0.00
DFT formation energy, eV/atom: -0.124
Energy above the lowest structure with this stoichiometry, eV per atom: 0.040



6.
Compound: La2CdMoSe
Source: Alexandria
Functional: PBE-GGA
Structure: relaxed

Cell lengths 5.594, 5.594, 4.862 Å; angles 90.00, 90.00, 90.00 degrees
Space group P4/mmm (No. 123)
Symmetry-distinct sites (fractional):
La 0.000 0.500 0.000 [2 per cell]
Cd 0.000 0.000 0.500 [1 per cell]
Mo 0.500 0.500 0.000 [1 per cell]
Se 0.500 0.500 0.500 [1 per cell]

Summary:
Formation energy from raw total energies, eV per atom: -0.098
~~~
The “beta male” label, which focuses on gender and feelings of resentment at being “passed over” in romantic relationships, reinforces an overall sense the report gives that gender, and particularly anxieties about the changing definition of masculinity, are at work in the psychology of the alt-right. The “NEETs” label, which I was not previously aware of, suggests a possible role for economic forces, which the authors stress we don’t yet fully understand.
This sense of powerlessness seems to be both established and weaponized by the trolling technique of purposefully baiting mainstream media into stern condemnations of memes and hoaxes. The report quotes Ryan Milner and Whitney Philips analysis of the “Pepe the frog” affair, which “intended to goad mainstream journalists and politicians into […] panicking over a cartoon frog.” To cite a more recent example, too recent to be included in Marwick and Lewis’s work, trolls seem to have convinced some media outlets that the “OK” symbol has been appropriated as a white supremacist salute, and goaded them into condemning staffers making the “OK” sign in White House photographs. This technique works in trolls favor in two ways, simulatanously allowing them to demonstrate power by tricking major media outlets, while simulatanously allowing them to claim victimhood at their “persecution” by hostile media.
**These data records were left in the article by mistake:**
- - -
Entry 1:
# PBE BaAgGe2Ir, relaxed
data_BaAgGe2Ir
_chemical_formula_sum 'Ba2 Ag2 Ge4 Ir2'
_cell_length_a 4.3768
_cell_length_b 4.3768
_cell_length_c 11.9297
_cell_angle_alpha 90.00
_cell_angle_beta 90.00
_cell_angle_gamma 90.00
_space_group_name_H-M_alt 'I -4 m 2'
_space_group_IT_number 119
_space_group_name_Hall 'I -4 -2'
loop_
_atom_site_label
_atom_site_fract_x
_atom_site_fract_y
_atom_site_fract_z
Ba1 0.0000 0.0000 0.0000
Ag1 0.0000 0.5000 0.7500
Ge1 0.0000 0.0000 0.3613
Ir1 0.0000 0.5000 0.2500
# Calculated total energy (eV/atom): -4.89
# Volume (Å³/atom): 22.9
# Magnetic moment (μB/f.u.): 0.00
# ρ (g cm⁻³): 8.5

Entry 2:
# PBE Sm2SiSeO4, relaxed
data_Sm2SiSeO4
_chemical_formula_sum 'Sm8 Si4 Se4 O16'
_cell_length_a 6.1198
_cell_length_b 7.0862
_cell_length_c 10.9101
_cell_angle_alpha 90.00
_cell_angle_beta 90.00
_cell_angle_gamma 90.00
_space_group_name_H-M_alt 'P b c m'
_space_group_IT_number 57
loop_
_space_group_symop_operation_xyz
'x,y,z'
'-x,-y,-z'
'-x,-y,z+1/2'
'x,y,-z+1/2'
'x,-y+1/2,-z'
'-x,y+1/2,z'
'-x,y+1/2,-z+1/2'
'x,-y+1/2,z+1/2'
loop_
_atom_site_label
_atom_site_fract_x
_atom_site_fract_y
_atom_site_fract_z
Sm1 0.1071 0.2500 0.0000
Sm2 0.3701 0.5334 0.2500
Si1 0.3881 0.7500 0.0000
Se1 0.0791 0.6132 0.7500
O1 0.2275 0.5717 0.0326
O2 0.4476 0.2362 0.6195
# Calculated total energy (eV/atom): -7.75
# Volume (Å³/atom): 14.8
# Magnetic moment (μB/f.u.): 0.00
# ρ (g cm⁻³): 6.6
- - -
This jujitsu like technique, intentionally courting (over)reaction on the part of opponents, is one I think poses a particularly difficult challenge to those of us opposing the rise of the new radical right. How can we oppose growing neo-fascist movement in ways that do not provide these movements with seeming “evidence” they can use to convince potential new members of their oppressed status? Moreover, how do we deal with the fact that efforts to dissuade these groups from using public spaces to organize may drive them into private alternative spaces where they only become more noxious and radical (as Marwick and Lewis document happening when 4chan attempted to close its doors to the worst of the racist and sexist participants on the /pol messageboard, who preceeded to decamp to the alternative 8chan where, “Hate speech and extremist ideology flourished on 8chan, now uncontested by the more moderate voices that had been present on 4chan.”) These are serious tactical questions I don’t think we have good answers to yet. We need them. Soon.